When it comes to what clipart collection I intend to be sharing today, it could be said that I’m serving up an all-you-can-eat smorgasbord. Since food has been a big part of all the recent festivities surrounding the festive season, it’s been on my mind a lot lately. From the delectables served up during the holiday gatherings, the Christmas feasts and the New Year’s Eve celebrations, food has been front and centre.
Like most mothers, the fixation with festive fare began well ahead of the actual parties with time spent preparing, baking and cooking. Our ovens got a workout as kitchens filled with the fragrances of homemade shortbread and gingerbread. The percussion of chopping and paring set the rhythm as appetizers and chafing dishes were made ahead for convenience when the busy days arrived.
For working women, all of the extra work can often prove stressful. It’s not easy to try and meet the demands we put on ourselves. Our attempts at squeezing in more responsibilities between the already full hours of our lives can be challenging. Knowing that all of these tasks must be done is a lot of pressure. In order to cope, shortcuts might be found, most frequently in the form of convenience food purchased from retail outlets. Or, worse yet, some of the items on the list, quite simply don’t happen.
The latter was exactly how I saw things working out this time. As I considered the jobs that needed to be accomplished, as I thought of them in terms of when they could be attacked between work hours and social commitments, I felt a momentary panic that the favourite dishes my family had come to expect from me during the holidays weren’t all going to make it to our meals.
As the weeks moved closer to the holidays, I strangely began to relax though following the rule I’ve always applied to my work in the kitchen. Just push up my sleeves and enjoy. Then rolling out pastry one evening I noticed a sense of calm wrapping itself around me. The same thing happened as I kneaded the dough for coffee cake a few days later. Rather than worry about what I might not get done I allowed myself to be in the moment.
As a result, instead of letting the work own me, I remembered how much I enjoy preparing food for my family, and the fact that it always provided me with an equal amount of pleasure to watch them enjoy the dishes before them.
_Attached: materials data_
- - -
Record 1
The following is a DFT calculation (PBE) of LiMoI2N after structural relaxation.

* total moment: 1.21 μB/f.u.
* DFT total energy: -4.9026 eV/atom
* SG: P4/mmm

```
data_LiMoI2N
_chemical_formula_sum 'Li1 Mo1 I2 N1'
_cell_length_a 5.7219
_cell_length_b 5.7219
_cell_length_c 3.8632
_cell_angle_alpha 90.00
_cell_angle_beta 90.00
_cell_angle_gamma 90.00
_symmetry_space_group_name_H-M 'P 1'
_symmetry_Int_Tables_number 1
loop_
_symmetry_equiv_pos_as_xyz
'x,y,z'
loop_
_atom_site_label
_atom_site_type_symbol
_atom_site_fract_x
_atom_site_fract_y
_atom_site_fract_z
Li1 Li 0.5000 0.5000 0.5000
N1 N 0.0000 0.0000 0.5000
I1 I 0.0000 0.5000 0.0000
I2 I 0.5000 0.0000 0.0000
Mo1 Mo 0.0000 0.0000 0.0000
```

=====

Record 2
The following is a DFT calculation (PBE) of LaMgOs after structural relaxation.

* total moment: 0.00 μB/f.u.
* DFT total energy: -5.7120 eV/atom
* formation energy: 0.21 eV per atom
* SG: P-6m2

```
data_LaMgOs
_chemical_formula_sum 'La1 Mg1 Os1'
_cell_length_a 4.6266
_cell_length_b 4.6266
_cell_length_c 3.6969
_cell_angle_alpha 90.00
_cell_angle_beta 90.00
_cell_angle_gamma 120.00
_symmetry_space_group_name_H-M 'P 1'
_symmetry_Int_Tables_number 1
loop_
_symmetry_equiv_pos_as_xyz
'x,y,z'
loop_
_atom_site_label
_atom_site_type_symbol
_atom_site_fract_x
_atom_site_fract_y
_atom_site_fract_z
Mg1 Mg 0.6667 0.3333 0.4998
La1 La 0.0000 0.0000 0.9999
Os1 Os 0.3333 0.6667 0.5003
```

=====

Record 3
- - -
Of course, with the arrival of a brand new year, and the festivities all behind us, my efforts in the kitchen have been curtailed somewhat. Neither my husband nor I have any need for desserts and treats given that any little extras tend to stay with us in places we’d rather they didn’t. As well, after so many heavy foods, it’s time to consider healthier entrées, more salads, fewer carbs.
While I’m always (unfortunately) more interested in the preparation, and consuming, of comfort foods, I recognize that these are best served in small doses and rare occasions. So now I turn my culinary interests to making the simple and plain enticing. My focus for 2018, I guess a resolution of sorts, is to find the same kind of pleasure in making those dishes as I do in preparing hearty homebaked breads and desserts.
Unrelated to this entry: data records >
# 1
Density functional theory data (PBE) for an optimized crystal structure of ErScAl.

It has space group P3m1 (No. 156), with a = 5.0187 Å, b = 5.0187 Å, c = 3.0533 Å, α = 90.00°, β = 90.00° and γ = 120.00°. The asymmetric unit holds Er at (0.0000, 0.0000, 0.0000), Sc at (0.6667, 0.3333, 0.9876) and Al at (0.3333, 0.6667, 0.4951).

As for the magnetization: 0.0 Bohr magnetons per cell. For the calculated volume, the calculation gives 22.20 Å³/atom. The formation energy comes out at -0.044 eV per atom. For the energy, the calculation gives -14.77 eV per cell. The energy relative to the lowest polymorph listed for this composition comes out at 0.251 eV per atom.



# 2
Density functional theory data (PBE) for an optimized crystal structure of ErSc5Al2.

It has space group Immm (No. 71), with a = 3.3234 Å, b = 9.5830 Å, c = 11.7109 Å, α = 90.00°, β = 90.00° and γ = 90.00°. The asymmetric unit holds Er at (0.0000, 0.0000, 0.0000), Sc at (0.0000, 0.2239, 0.3644), Sc at (0.0000, 0.5000, 0.0000) and Al at (0.0000, 0.5000, 0.2567).

As for the magnetization: 3.0 Bohr magnetons per cell. For the calculated volume, the calculation gives 23.31 Å³/atom. The formation energy comes out at -0.166 eV per atom. For the energy, the calculation gives -90.06 eV per cell.



# 3
Density functional theory data (PBE) for an optimized crystal structure of Er4Sc3Al4.

It has space group Immm (No. 71), with a = 3.2783 Å, b = 8.9854 Å, c = 17.9094 Å, α = 90.00°, β = 90.00° and γ = 90.00°. The asymmetric unit holds Er at (0.0000, 0.1823, 0.1619), Sc at (0.0000, 0.0000, 0.4077), Sc at (0.0000, 0.5000, 0.5000), Al at (0.0000, 0.2806, 0.0000) and Al at (0.0000, 0.5000, 0.2238).

As for the magnetization: 0.0 Bohr magnetons per cell. For the calculated volume, the calculation gives 23.98 Å³/atom. The formation energy comes out at -0.224 eV per atom. For the energy, the calculation gives -109.36 eV per cell.



# 4
Density functional theory data (PBE) for an optimized crystal structure of ErSc2Al3.

It has space group P4/mmm (No. 123), with a = 3.4372 Å, b = 3.4372 Å, c = 10.3287 Å, α = 90.00°, β = 90.00° and γ = 90.00°. The asymmetric unit holds Er at (0.0000, 0.0000, 0.0000), Sc at (0.0000, 0.0000, 0.3403), Al at (0.5000, 0.5000, 0.1834) and Al at (0.5000, 0.5000, 0.5000).

As for the magnetization: 0.0 Bohr magnetons per cell. For the calculated volume, the calculation gives 20.34 Å³/atom. The formation energy comes out at -0.427 eV per atom. For the energy, the calculation gives -31.01 eV per cell.



> What is the calculated volume in the fourth record?

20.34 Å³/atom

----------

This record from OQMD via LeMat-Bulk describes crystalline NdDyPd at its relaxed geometry. The functional is GGA-PBE.

Calculated values
Energy relative to the elements (eV/atom): -0.420
Mass density (g/cm3): 8.0
Space-group type: No. 216
Total energy (eV per atom): -5.266
Energy above the most stable polymorph in this dataset (eV per atom): 0.0000
Though my mind might be turned away from the decadent to nutritious for the moment in the practical sense, the images in these great clipart collections from iCLIPART.com and Clipart.com offer a veritable buffet of good eats– from meat and vegetables to treats and junk. They’re perfect for any number of projects. Some of them, I know, will be making their way into a cookbook of my family favourites I’m creating for my brood.